-- begin --
Density functional theory data (the ωB97M-V functional and the def2-TZVPD basis) for C5H11NO in the gas phase.

Geometry as XYZ:
```
18
Properties=species:S:1:pos:R:3:mulliken_charge:R:1
C -2.708 -0.387 0.108 -0.977
H -3.134 -1.035 0.882 0.298
H -0.814 1.154 -1.013 0.308
C -0.539 0.086 -1.041 -0.652
H 3.479 1.507 0.007 0.241
H -3.277 -0.549 -0.815 0.300
O 1.558 0.895 0.123 -0.421
H -2.846 0.666 0.420 0.375
H -0.585 0.474 1.518 0.308
C -0.363 -0.454 0.963 -0.635
H -0.517 -0.267 -2.079 0.286
N -1.325 -0.732 -0.109 -0.152
H 1.210 -1.073 -0.420 0.317
C 2.881 0.641 -0.286 -0.718
C 0.677 -0.161 -0.126 0.219
H 3.288 -0.252 0.211 0.316
H 2.959 0.501 -1.375 0.308
H -0.184 -1.274 1.667 0.278
```

Calculated values
Calculated total energy in Eh: -327.0427
LUMO energy in eV: 1.10
Relative energy (zero: lowest compared OMol25 entry of this formula, charge and spin) in kcal/mol: 55.7
Gap between HOMO and LUMO in eV: 9.831
Multiplicity: 1
Highest occupied orbital energy in eV: -8.726
Net charge: 0

~~~~~

--- P ---
DFT (ωB97M-V with the def2-TZVPD basis set) results for 2 unconnected molecules or ions with the total composition C2H10NS.

Structure (ORCA input):
```
! wB97M-V def2-TZVPD RIJCOSX def2/J DEFGRID3
* xyz 1 1
C 1.06 0.76 -1.08
N 0.21 0.51 0.12
C 0.96 -0.26 1.18
H 0.44 1.23 -1.85
H 1.88 1.42 -0.80
H 1.45 -0.19 -1.42
H -0.62 -0.05 -0.12
H -0.12 1.38 0.52
H 1.23 -1.22 0.77
H 0.31 -0.39 2.05
H 1.85 0.29 1.45
S -2.91 -0.57 -0.49
H -3.53 -1.24 0.50
H -2.21 -1.66 -0.82
*
```

Computed properties:
- HOMO-LUMO gap (eV) = 10.76
- E_LUMO (eV) = -3.30
- HOMO level (hartree) = -0.51695

These are the Mulliken partial charges, in e, on atoms 1 to 6: atom 1 (C): -0.828, atom 2 (N): 0.103, atom 3 (C): -0.862, atom 4 (H): 0.331, atom 5 (H): 0.364, atom 6 (H): 0.366

***

--- Q ---
DFT (ωB97M-V with the def2-TZVPD basis set) results for 2 unconnected molecules or ions with the total composition C2H10NS.

Structure (ORCA input):
```
! wB97M-V def2-TZVPD RIJCOSX def2/J DEFGRID3
* xyz 1 1
N -3.16 0.41 0.48
H -3.39 1.06 1.23
H -2.13 0.36 0.49
H -3.64 -0.46 0.73
H -3.51 0.65 -0.45
C 1.96 1.20 -0.48
C 1.75 -0.30 -0.48
S 0.05 -0.71 0.17
H 1.64 1.56 0.47
H 1.42 1.76 -1.25
H 3.01 1.42 -0.65
H 1.70 -0.75 -1.48
H 2.44 -0.82 0.17
H 0.37 -1.55 1.15
*
```

Computed properties:
- HOMO-LUMO gap (eV) = 8.85
- E_LUMO (eV) = -4.08
- HOMO level (hartree) = -0.47509

These are the Mulliken partial charges, in e, on atoms 1 to 6: atom 1 (N): -0.399, atom 2 (H): 0.402, atom 3 (H): 0.134, atom 4 (H): 0.401, atom 5 (H): 0.387, atom 6 (C): -1.078

***

It is P that is most stable; the runner-up trails by 0.165 eV.

***

--- P ---
DFT (ωB97M-V with the def2-TZVPD basis set) results for 2 unconnected molecules or ions with the total composition C2H10NS.

Structure (ORCA input):
```
! wB97M-V def2-TZVPD RIJCOSX def2/J DEFGRID3
* xyz 1 1
N 1.37 1.33 -1.60
H 2.08 1.95 -1.32
H 0.69 1.75 -2.16
H 1.78 0.52 -2.25
H 0.87 0.95 -0.67
C -0.25 -1.92 -0.12
C -0.19 -1.00 1.08
S -0.60 0.71 0.61
H -0.68 -1.52 -1.02
H -0.96 -2.76 0.14
H 0.79 -2.19 -0.46
H -0.96 -1.39 1.76
H 0.73 -1.02 1.71
H -1.75 0.61 0.03
*
```

Computed properties:
- HOMO-LUMO gap (eV) = 10.00
- E_LUMO (eV) = -3.78
- HOMO level (hartree) = -0.50632

These are the Mulliken partial charges, in e, on atoms 1 to 6: atom 1 (N): -0.489, atom 2 (H): 0.363, atom 3 (H): 0.388, atom 4 (H): 0.410, atom 5 (H): 0.154, atom 6 (C): -0.943

***

--- Q ---
DFT (ωB97M-V with the def2-TZVPD basis set) results for 2 unconnected molecules or ions with the total composition C2H10NS.
-- stop --

Duplicate only the lines further above with the word "ions" in them, please.

DFT (ωB97M-V with the def2-TZVPD basis set) results for 2 unconnected molecules or ions with the total composition C2H10NS.
DFT (ωB97M-V with the def2-TZVPD basis set) results for 2 unconnected molecules or ions with the total composition C2H10NS.
DFT (ωB97M-V with the def2-TZVPD basis set) results for 2 unconnected molecules or ions with the total composition C2H10NS.
DFT (ωB97M-V with the def2-TZVPD basis set) results for 2 unconnected molecules or ions with the total composition C2H10NS.